~~~
The following is a quantum chemistry calculation of C43H30IN5O2PScSe2 as an isolated structure, from OMol25.

Each line ends with the Mulliken charge.
Element x y z (Å)
Sc 0.99068 -0.13814 0.18437  -1.016
C 2.06366 -4.27127 1.92975  -1.330
C 1.79903 -2.90352 1.76278  0.137
N 1.58272 -2.35651 0.58856  0.577
C 1.61012 -3.13335 -0.52984  -0.354
C 1.93318 -4.50197 -0.46105  0.888
C 2.13571 -5.05968 0.81812  -0.688
C 2.08346 -5.25041 -1.65381  -1.136
C 1.95332 -4.59754 -2.84021  -0.884
C 1.59472 -3.23345 -2.91454  -1.426
C 1.33492 -2.48070 -1.78396  1.062
N 0.94450 -1.15621 -1.69012  1.293
C 0.83199 -0.35568 -2.83922  0.189
C 0.37144 -0.72805 -4.07859  -0.420
C 0.41770 0.16489 -5.17584  -1.352
C 0.93918 1.41664 -5.05393  -0.884
C 1.35595 1.86667 -3.77668  0.938
C 1.88630 3.15195 -3.53087  -0.669
C 2.17575 3.53496 -2.25564  -1.044
C 1.89988 2.64609 -1.20456  -0.087
N 1.46783 1.42453 -1.40440  0.741
C 1.23004 1.00548 -2.67705  0.010
H 2.21742 -4.66721 2.92368  0.488
H 1.74912 -2.24176 2.61778  0.396
H 2.35961 -6.11704 0.89822  0.437
H 2.32985 -6.30288 -1.60171  0.426
H 2.11381 -5.12831 -3.77066  0.416
H 1.52887 -2.79140 -3.89345  0.732
H -0.06011 -1.70652 -4.22582  0.702
H 0.04293 -0.17522 -6.13292  0.384
H 1.00533 2.08603 -5.90221  0.425
H 2.03361 3.83151 -4.36202  0.420
H 2.55236 4.52175 -2.02883  0.357
H 2.01991 2.95450 -0.17298  0.470
Se -1.25890 3.89177 -1.96577  -0.408
P -2.07239 2.64013 -0.47088  0.976
Se -0.76381 1.73848 1.03988  -0.295
C -2.99971 1.27350 -1.24357  -0.358
C -2.50522 -0.02354 -1.25461  2.062
C -3.19272 -1.03836 -1.90785  -0.387
C -4.38770 -0.75725 -2.55139  -0.834
C -4.88742 0.54157 -2.54661  -0.707
C -4.19598 1.55389 -1.90250  -0.635
C -3.33434 3.48925 0.53757  0.379
C -3.47990 4.86805 0.47458  -0.538
C -4.43773 5.50391 1.25630  -0.575
C -5.25469 4.76347 2.09558  -0.438
C -5.11271 3.38123 2.15946  -0.632
C -4.15376 2.74825 1.38724  -0.418
H -1.57588 -0.23753 -0.73628  -1.052
H -2.79546 -2.04713 -1.90994  0.442
H -4.93044 -1.54546 -3.05779  0.404
H -5.81903 0.76497 -3.05113  0.397
H -4.58303 2.56610 -1.91451  0.461
H -2.84274 5.43230 -0.19521  0.307
H -4.54327 6.58020 1.20419  0.387
H -6.00368 5.25957 2.70003  0.376
H -5.74883 2.79996 2.81476  0.396
H -4.03735 1.67185 1.44702  0.328
I -2.85488 -5.06335 -0.08626  0.045
C -2.17005 -3.48159 1.06414  -1.080
C -2.45652 -3.38658 2.41796  -0.165
C -1.95857 -2.30346 3.12064  -1.163
C -1.19220 -1.35880 2.45534  -0.369
N -0.91140 -1.46348 1.15665  0.931
C -1.39407 -2.50114 0.47349  -0.095
H -3.05553 -4.14162 2.90991  0.443
H -2.15556 -2.18579 4.17725  0.505
H -0.78516 -0.50130 2.97730  0.421
H -1.13900 -2.54737 -0.57969  0.617
O 3.15226 0.14148 0.41857  -0.743
C 3.05460 0.33210 1.64945  1.098
N 1.85911 0.17367 2.24501  0.721
C 1.99655 0.42794 3.60782  -0.173
O 1.12419 0.35216 4.43630  -0.696
C 3.43650 0.82372 3.84281  -0.053
C 4.09124 1.19831 4.99469  -0.575
C 5.44936 1.49380 4.88465  -0.431
C 6.11105 1.41228 3.66227  -0.629
C 5.43832 1.03333 2.50222  -0.314
C 4.09584 0.74503 2.62755  0.013
H 3.57042 1.25789 5.94120  0.499
H 6.00393 1.79306 5.76468  0.399
H 7.16558 1.65123 3.61658  0.427
H 5.94584 0.97116 1.54854  0.533

Output
Charge ... 0
HOMO energy ... -7.1 eV
E_tot ... -8283.8210 Ha
LUMO energy ... -0.36 eV
Kohn-Sham gap ... 6.79 eV
Energy above the lowest of the compared OMol25 structures with the same formula, charge and spin ... 12.5 kcal per mole

---

The following is a quantum chemistry calculation of C43H31Cl5N2NiP2S2 as an isolated structure, from OMol25.

Each line ends with the Mulliken charge.
Element x y z (Å)
Ni 1.52866 1.20257 0.58155  -0.351
S 2.08061 -1.00968 0.77175  -0.965
P 0.65427 -1.06993 -0.65841  1.522
C 0.22501 0.51579 -0.91305  -0.142
P -0.94878 1.16903 -1.94683  2.342
S -1.09227 3.12488 -2.15677  -0.656
C -2.63175 0.57678 -1.47815  -0.504
C -2.82813 0.26238 -0.13796  0.911
C -4.07441 -0.12516 0.32817  -0.252
C -5.14308 -0.22176 -0.55192  -0.744
C -4.96002 0.10139 -1.89237  -0.628
C -3.71505 0.51246 -2.34761  -0.187
~~~

What is needed: work out how many lines further up have the word "ends" in them; a number is enough.

2